Daisy wallpaper

Newspaper pots

Misplaced crystal structures =
=====
No. 1
This entry pairs a crystal structure of LiMgIn2Te4 with its calculated XRD peak list. Radiation: Cu Kα X-rays. Structure: the PBE geometry in Alexandria.
Lines closer than 0.1° are merged.

Most intense lines, 2θ = 15–90°, by angle:
2θ = 22.76°, intensity 83; 2θ = 24.30°, intensity 100; 2θ = 30.07°, intensity 18; 2θ = 35.30°, intensity 33; 2θ = 39.37°, intensity 22; 2θ = 39.66°, intensity 81; 2θ = 43.32°, intensity 45; 2θ = 45.95°, intensity 25; 2θ = 48.16°, intensity 19; 2θ = 66.29°, intensity 17

```
data_LiMgIn2Te4
_cell_length_a 7.9465
_cell_length_b 7.6315
_cell_length_c 6.8425
_cell_angle_alpha 66.34
_cell_angle_beta 61.60
_cell_angle_gamma 52.06
_space_group_name_H-M_alt 'P 1'
_space_group_IT_number 1
_space_group_name_Hall 'P 1'
loop_
_atom_site_label
_atom_site_fract_x
_atom_site_fract_y
_atom_site_fract_z
Li1 0.0000 0.0000 0.0000
Mg1 0.4954 0.4954 0.5046
In1 0.2520 0.2520 0.2480
In2 0.7520 0.7520 0.7480
Te1 0.1118 0.6198 0.8882
Te2 0.3551 0.8518 0.1482
Te3 0.6198 0.1118 0.3802
Te4 0.8518 0.3551 0.6449
```



No. 2
This entry pairs a crystal structure of KLaP2Pt4 with its calculated XRD peak list. Radiation: Cu Kα X-rays. Structure: the PBE geometry in Alexandria.
Lines closer than 0.1° are merged.

Most intense lines, 2θ = 15–90°, by angle:
2θ = 16.43°, intensity 70; 2θ = 30.76°, intensity 29; 2θ = 35.07°, intensity 100; 2θ = 39.88°, intensity 47; 2θ = 44.06°, intensity 40; 2θ = 47.33°, intensity 19; 2θ = 52.84°, intensity 22; 2θ = 62.40°, intensity 17; 2θ = 68.96°, intensity 16; 2θ = 75.19°, intensity 22

```
data_KLaP2Pt4
_cell_length_a 4.1105
_cell_length_b 4.1105
_cell_length_c 10.7892
_cell_angle_alpha 90.00
_cell_angle_beta 90.00
_cell_angle_gamma 90.00
_space_group_name_H-M_alt 'P 1'
_space_group_IT_number 1
_space_group_name_Hall 'P 1'
loop_
_atom_site_label
_atom_site_fract_x
_atom_site_fract_y
_atom_site_fract_z
K1 0.0000 0.0000 0.0000
La1 0.0000 0.0000 0.5000
P1 0.5000 0.5000 0.1838
P2 0.5000 0.5000 0.8162
Pt1 0.0000 0.5000 0.2887
Pt2 0.0000 0.5000 0.7113
Pt3 0.5000 0.0000 0.2887
Pt4 0.5000 0.0000 0.7113
```



No. 3
This entry pairs a crystal structure of TmU2S3O2 with its calculated XRD peak list. Radiation: Cu Kα X-rays. Structure: the PBE geometry in Alexandria.
Lines closer than 0.1° are merged.

Most intense lines, 2θ = 15–90°, by angle:
2θ = 25.39°, intensity 29; 2θ = 26.73°, intensity 100; 2θ = 31.76°, intensity 26; 2θ = 33.43°, intensity 53; 2θ = 38.20°, intensity 17; 2θ = 42.44°, intensity 39; 2θ = 45.58°, intensity 14; 2θ = 47.99°, intensity 23; 2θ = 55.07°, intensity 15; 2θ = 55.78°, intensity 29

```
data_TmU2S3O2
_cell_length_a 3.7912
_cell_length_b 3.7912
_cell_length_c 21.0474
_cell_angle_alpha 90.00
_cell_angle_beta 90.00
_cell_angle_gamma 90.00
_space_group_name_H-M_alt 'P 1'
_space_group_IT_number 1
_space_group_name_Hall 'P 1'
loop_
_atom_site_label
_atom_site_fract_x
_atom_site_fract_y
_atom_site_fract_z
Tm1 0.0000 0.0000 0.0000
Tm2 0.5000 0.5000 0.5000
U1 0.0000 0.0000 0.3140
=====
The crystal structures stop here =

Here's a clever device: Potmaker from Lee Valley. If you'd rather save the $17 for something else, there's always this device free method of making pots from newspaper. After skimming through the comments, it appears that the water evaporates quickly and the pots get wet (but not wet enough to break it down completely before planting in the soil), so I'm not entirely sure if it's a great idea. We will see : ) I'll give it a try when Spring arrives.

Winter has come: snow is here!

Yes, this means pretty much everything in the field is under a blanket of snow. Goodbye, lovely carrots and peas! The only plants I could rescue were two containers of bok choy, a baby strawberry plant and a small pot of rosemary. Unfortunately, a handful of salt got on to one of the two bok choy containers, so now there are only two small suviving bok choys. Aww, how sad.

I can sure feel that. Bur.

Container plants not liking the new and rather dull looking scenery.

Local links

Fact sheets on gardening from the Toronto Botanical Garden website.

There's a Q&A Ask A Master Gardener forum.

A number of links at the Community Garden Network.

Goodbye, basil

My windowsill basil's life is coming to an end, but it's all good! There is now a stash of little basil seeds waiting to be grown.

How to collect basil seeds.

Carrot starting to form

I cautiously dug around the roots to see whether or not I should green bin it. Pretty much half the vegetables in my field have either bolted or have been eaten by slugs.

Great! I will have to put a giant bottle over it before snow starts to fall

Bok choy flowers


I'm pretty sure they're going to make it this time *fingers crossed*
There's something wrong with the seedlings because they're much too tiny for their age, a shocking seven weeks old. Maybe it's the low temperature that's hindering their growth.

New look

There isn't much to do in the yard, so I decided to surf the internet. I came across this amazing site that lets you download unique Blogger templates. Loving the look of this blog now!


The few plants that are still alive and well

Former runner from my first strawberry plant

The only container of seedlings the squirrels that frequent my backyard didn't raid. I wonder why they chose to spare this one

The peas are in the field, so I hope they survive tonight's potential frost

Didn't think this one would survive, but it did! Yes!

Happy Halloween!

Picked two fabulous looking pumpkins at Pingle's this weekend

Not as easy of a task as I thought it would be. The last time I carved pumpkins was in elementary school~ the memories!

Jackie feeling extra pretty now

"Psst, I hear he's a watermelon gone horribly wrong"
"You don't say..."

...and this is why fall isn't that much fun

What gives?! I just raked it yesterday!

Outlook not so good for fall

Not a lot of survivors. The bok choys in the greenhouse and peas are the only ones clinging on to life. The boy choys that were transplanted to the field earlier on have been gobbled up by some cursed slugs. The lettuce seedlings are alright but have been the size of a dime for the past two weeks. How unnatural is that? One cauliflower is bolting while the rest look terribly wilted. The carrots don't seem to be growing at all. Looks like my fall plan won't work out after all : ( what a bummer.

Last harvest?

== Misplaced data records ==
/*
No. 1
The following is a theoretical powder X-ray diffraction pattern of La2PmHo3Er6. It was derived from a structure optimized by DFT (PBE), using CuKα.
Lines closer than 0.1° are merged.

Crystal structure
```
data_La2PmHo3Er6
_symmetry_space_group_name_H-M 'P 1'
_symmetry_Int_Tables_number 1
_cell_length_a 6.1809
_cell_length_b 6.1809
_cell_length_c 11.7616
_cell_angle_alpha 95.02
_cell_angle_beta 95.02
_cell_angle_gamma 119.98
loop_
_symmetry_equiv_pos_as_xyz
'x,y,z'
loop_
_atom_site_label
_atom_site_fract_x
_atom_site_fract_y
_atom_site_fract_z
La1 0.1668 0.8332 0.0000
La2 0.8332 0.1668 0.0000
Pm1 0.5000 0.5000 0.0000
Ho1 0.0000 0.0000 0.5000
Ho2 0.3335 0.6665 0.5000
Ho3 0.6665 0.3335 0.5000
Er1 0.0819 0.4146 0.7447
Er2 0.2528 0.2528 0.2553
Er3 0.4146 0.0819 0.7447
Er4 0.5854 0.9181 0.2553
Er5 0.7472 0.7472 0.7447
Er6 0.9181 0.5854 0.2553
```

Principal peaks in the range 5° ≤ 2θ ≤ 70°, in order of rising 2θ:
two_theta, d [Å], I/Imax
30.70, 2.912, 100.0
30.89, 2.895, 32.6
35.65, 2.518, 67.0
51.19, 1.784, 24.2
51.43, 1.777, 23.4
60.87, 1.522, 4.8
60.94, 1.520, 19.0
61.00, 1.519, 18.9
61.21, 1.514, 13.8
63.94, 1.456, 12.3

No. 2
The following is a theoretical powder X-ray diffraction pattern of NaLi2SnHg. It was derived from a structure optimized by DFT (PBE), using CuKα.
Lines closer than 0.1° are merged.

Crystal structure
```
data_NaLi2SnHg
_symmetry_space_group_name_H-M 'P 1'
_symmetry_Int_Tables_number 1
_cell_length_a 5.9804
_cell_length_b 5.9804
_cell_length_c 8.5238
_cell_angle_alpha 90.00
_cell_angle_beta 90.00
_cell_angle_gamma 130.98
loop_
_symmetry_equiv_pos_as_xyz
'x,y,z'
loop_
_atom_site_label
_atom_site_fract_x
_atom_site_fract_y
_atom_site_fract_z
Na1 0.0000 0.0000 0.0000
Na2 0.0000 0.0000 0.5000
Li1 0.2960 0.7040 0.5738
Li2 0.2960 0.7040 0.9262
Li3 0.7040 0.2960 0.0738
Li4 0.7040 0.2960 0.4262
Sn1 0.2210 0.7790 0.2500
Sn2 0.7790 0.2210 0.7500
Hg1 0.4862 0.5138 0.2500
Hg2 0.5138 0.4862 0.7500
```

Principal peaks in the range 5° ≤ 2θ ≤ 70°, in order of rising 2θ:
two_theta, d [Å], I/Imax
19.66, 4.515, 65.1
20.84, 4.262, 100.0
22.28, 3.990, 71.6
28.81, 3.099, 87.9
30.53, 2.928, 47.3
32.92, 2.721, 36.9
36.21, 2.481, 38.5
37.25, 2.414, 91.6
39.29, 2.293, 31.0
42.15, 2.144, 34.1
*/

One and only fully grown bok choy. It was extra tasty


Never thought I would see Spongebob at the supermarket tending watermelons, but that's exactly what he's doing here.

Even Patrick is participating!

Probably the last harvest

Oh, what a mess

Not sure why the radish on the left is more purple than the other two

Mini bell peppers are finally ready! The grape tomato looks like the red pepper

Aww, how cute. They're nice to look at but pretty impractical when it comes to incorporating them in a meal


So it turns out that the funny shaped eggplant really is a Rosa Bianca eggplant, not a black Beauty. It's all good though because this eggplant looks great!

Oh, not so much anymore when I flip the vegetable over

What has been doing this?



Oh, it's those cursed slugs

Back from Chicago!

Took several long hours to get there by bus, but it was more than worth it. What a spectacular city with its beautiful architecture and wonderful people!

Greenhouse fell down

The greenhouse got knocked down by the vigorous wind that has been hitting the city by surprise. I could barely make it from Loblaws back to my car the other day and it was only a few feet away. Anyhoo, there is now a wonderful mess in the yard with soil and pots scattered everywhere, most of them piled near the shed hole. Hmph.

Goodbye, bird and plant

I was so thrilled when I found several zucchini flowers at this time of year

Then I saw this poor bird. Sorry zucchini plant but you have to go now because memories of my late birds Elmo and Apple are resurfacing :*(

Stoufville Country Market

The "good things groooooooow in Ontarioooo" song is now stuck on repeat in my head

Aww, look at teeny tiny bunny squished into a teeny tiny corner. He could fit in the palm of my hand

Venus flytrap at work

For the longest time my venus flytrap was nothing more than a windowsill decoration. Then yesterday I got a nice surprise in the morning - look, it finally caught a fruit fly! Yes! Devour that little sucker >:D

Fall garden plan

Got to start this soon or it will be too late

Surprise, I'm here!

Look what I found: a baby marigold flourishing outside the vegetable patch. It's now one with the lawn

Discovered a few sprigs of thyme growing in between the rose bushes

Here's a baby strawberry very much alive underneath a canopy of fallen rose petals and leaves

Garden cleanup

My neighbour's new angry-at-the-world dog has finally taken a liking to me :D Now I can clean up the yard without fear that something will gnaw at my ankles.

Pretty gross looking hole in the bolting lettuce stem

A bit of white mould like stuff growing around the roots of a potted lettuce

Bursting tomato

I really need to relax when it comes to watering my plants. Luckily, less than a dozen out of a hundred have bursted.

Radish bulb

Despite the mess...

...they're growing! Look at it swell up, day 35

Indoor plants

Got to start trimming this basil plant again into a round ball

Second generation pea seedling

Since the Venus fly trap isn't doing its job, I have to resort to sticky tape to get rid of the insects in my bedroom

Bok Choy